
There are moments as a working mom when overwhelm just takes over, and you realize the boundaries between work and life have been significantly blurred. While work-life balance is but an elusive ideal, unclear or blurred boundaries between your career and life can spell havoc over your entire existence. This is when resetting your work-life boundaries is absolutely necessary. 

For most working women, the COVID-19 pandemic has been a significant turning point in their careers and lives. I know it has definitely been for me…Plagued with the brunt of the pandemic’s weight in terms of household chores and work demands, overcome with the mental weight of a global human and economic crisis, mothers have had to (and still have to) pay a dear price. As a matter of fact, close to five million jobs were lost to American women back in December 2020out of sheer overwhelm and the need to care for their families and loved ones. Now more than ever, work-life boundaries are not only essential, they’re indispensable for working mothers. 

Yet, what does re-setting your boundaries, any boundaries at all for that matter, look like in a constantly evolving world with an uncertain future? What does it look like to draw a line in the sand when you’re a working mother juggling s many drawing sticks in the air? Which one do you put down? Which one do you pick up? Where do you draw the line? This is the incessant, heavy dilemma so many moms deal with, aggravated by the advent of a reformative pandemic and a shifting world. This is also where traditional, time-oriented, rigid boundaries, no longer work. Instead, the next normal we’re stepping into is requiring flexible, adaptive boundaries with the potential of shifting and expanding us, rather than constricting, limiting separating walls ridden with the anxiety and the frustration of motherly guilt:

  • Set a strong intention first. 

The process of setting boundaries is usually approached merely as a mechanical endeavor consisting of separating tasks, obligations and commitments. Often, this is done without much thought or appreciation for the genuine intention (or the lack thereof) behind it. As a result, similar to New Year’s resolutions, these boundaries end up only surviving for a limited time, quickly replaced by the status quo in one way or another. Setting a strong intention by questioning the “why” of your decision first can instead create a longer lasting impact, turning an otherwise mechanical process into a flexible and malleable concept filled with meaning and purpose. 

Unrelated to this entry: data records:
********
ORCA calculation (ωB97M-V/def2-TZVPD) on a molecular structure, C26H21KN3O5S4.

- F_max (hartree/bohr) = 0.045
- LUMO energy (hartree) = 0.0728
- ΔE to the lowest compared entry with this formula, charge and spin (eV) = 0.303
- total energy (eV) = -101677.8760
- total charge = -1
- Kohn-Sham gap (eV) = 7.158
- E_HOMO (eV) = -5.179

XYZ file:
```
60
Properties=species:S:1:pos:R:3:nbo_charge:R:1
K -0.2955 -1.6280 1.3019 0.9231
C 0.1250 1.2622 -2.5176 -0.6609
C -0.1566 2.2826 -1.4552 0.3262
C -0.5601 3.5570 -1.7272 -0.3899
C -0.8032 4.3972 -0.6291 0.3018
N -0.6723 4.0152 0.6272 -0.5049
C -0.2678 2.7337 0.9023 0.2564
S -0.0164 2.1577 2.4585 -0.2709
N -0.0308 1.8987 -0.1744 -0.5778
C -1.2189 5.8243 -0.8543 -0.6466
H 0.7401 1.6989 -3.3044 0.2268
H -0.8174 0.9325 -2.9635 0.2282
H 0.6336 0.3927 -2.1012 0.2579
H -0.6801 3.8993 -2.7479 0.2147
H 0.4187 0.9554 0.0277 0.4867
H -1.7510 5.9447 -1.7990 0.2068
H -0.3285 6.4572 -0.8836 0.2257
H -1.8420 6.1621 -0.0269 0.2366
O -1.8048 -3.4329 0.9864 -0.7843
C -2.5862 -2.6876 1.6360 0.7242
O -2.2630 -1.8726 2.5319 -0.7640
C -4.0617 -2.7137 1.2269 -0.1285
C -4.5073 -3.6003 0.2550 -0.1494
C -5.8439 -3.6151 -0.1349 -0.2294
C -6.7463 -2.7351 0.4396 -0.2279
C -6.2824 -1.8576 1.4029 0.0731
C -4.9615 -1.8308 1.8098 -0.1895
N -7.2491 -0.9135 2.0233 0.5224
O -8.4055 -0.9461 1.6382 -0.4053
O -6.8735 -0.2621 2.9754 -0.3715
H -3.7774 -4.2698 -0.1877 0.2406
H -6.1849 -4.3116 -0.8923 0.2093
H -7.7879 -2.7151 0.1558 0.2381
H -4.6143 -1.1395 2.5651 0.2735
O 1.1473 -0.4336 0.1237 -0.9544
C 2.5104 -0.5161 -0.0329 0.1715
C 3.1039 0.7941 -0.6079 -0.2010
C 3.0182 2.0296 -0.0374 -0.2759
C 3.5570 3.0690 -0.8556 -0.2564
C 4.0518 2.5991 -2.0365 -0.4533
S 3.8223 0.9090 -2.1704 0.4458
C 3.2206 -0.8148 1.3073 -0.1649
C 4.4164 -0.3612 1.7743 -0.2779
C 4.7787 -0.9176 3.0429 -0.2571
C 3.8460 -1.7802 3.5165 -0.4225
S 2.5289 -1.9342 2.4300 0.4295
C 2.8173 -1.6876 -0.9852 -0.2005
C 3.9897 -2.2896 -1.3299 -0.2762
C 3.8123 -3.3504 -2.2722 -0.2604
C 2.5036 -3.5358 -2.5990 -0.4448
S 1.4850 -2.4324 -1.7734 0.4815
H 2.5601 2.1898 0.9375 0.2559
H 3.5749 4.1157 -0.5678 0.2194
H 4.5237 3.1533 -2.8380 0.2283
H 5.0183 0.3605 1.2373 0.2291
H 5.6858 -0.6626 3.5807 0.2143
H 3.8470 -2.3288 4.4488 0.2317
H 4.9480 -1.9907 -0.9175 0.2268
H 4.6232 -3.9516 -2.6691 0.2117
H 2.0823 -4.2727 -3.2709 0.2285
```

=====

Entry 1:
Molecular formula: C22H36O4S
Method: DFT, ωB97M-V/def2-TZVPD

Total charge = 0
Frontier orbital gap = 9.934 eV
Largest force on an atom = 4.87 eV Å⁻¹
Relative energy (zero: lowest compared OMol25 entry of this formula, charge and spin) = 4.2928 eV
E_HOMO = -9.59 eV
M = 396.59 g mol⁻¹
Lowest unoccupied orbital energy = 0.3479 eV

Each line ends with the natural charge from an NBO analysis.
Geometry (Å):
C (0.228389, -2.081041, 1.118306)  -0.409
C (0.900305, -2.506280, -0.035915)  -0.188
C (2.145410, -1.736111, -0.671137)  -0.466
C (1.817764, -1.022967, -2.059707)  0.044
O (0.416171, -0.859615, -2.458139)  -0.632
********
The entry goes on:

  • Define what your own work-life boundaries look like

So much has been said and written about the proverbial “work-life balance” that it has come to represent a blanket set of ideas around what work-life boundaries truly are. However, the reality is, every working mother’s work-life boundaries are unique. As each working mom has her own vision of living, parenting and working, this vision permeates the very meaning, extent and impact of her own boundaries. This is especially relevant in this post-pandemic era when many, if not most women are redefining what their lives and work mean, and what success, fulfillment and happiness look like to them on a daily basis. This is why subscribing to a general and falsely popular idea of work-life boundaries or balance can be detrimental. Instead, taking some time to reflect on what your ideal day, life and work look like, can prompt you to define the best, clearest and most practical boundaries for yourself and your environment. 

  • Create a flexible routine of your own

=====
*A*
19
Properties=species:S:1:pos:R:3:mulliken_charge:R:1 method="wB97M-V/def2-TZVPD" homo_lumo_gap_ha=0.347 homo_energy_ev=-8.61 smiles=CSCCCCO lumo_ev=0.824 total_charge=0
C 1.419 -0.609 1.766 -0.41
O 0.217 -0.169 2.400 -0.53
C 1.217 -1.200 0.346 -0.57
C -0.251 -1.377 -0.139 -0.53
C -0.535 -0.694 -1.467 -0.97
S -0.244 1.124 -1.458 -0.10
C -1.567 1.600 -0.327 -0.65
H 1.799 -1.395 2.404 0.33
H 2.159 0.194 1.716 0.21
H 0.033 0.716 2.046 0.26
H 1.789 -0.665 -0.415 0.40
H 1.633 -2.208 0.389 0.28
H -0.939 -1.251 0.692 0.46
H -0.334 -2.430 -0.409 0.32
H -1.587 -0.765 -1.737 0.42
H 0.073 -1.083 -2.279 0.39
H -1.921 2.604 -0.573 0.35
H -2.390 0.885 -0.387 0.24
H -1.238 1.637 0.712 0.10


*B*
19
Properties=species:S:1:pos:R:3:mulliken_charge:R:1 method="wB97M-V/def2-TZVPD" homo_lumo_gap_ha=0.343 homo_energy_ev=-8.43 smiles=CSCCCCO lumo_ev=0.898 total_charge=0
C -1.280 2.327 1.392 -0.61
O -0.272 3.275 1.686 -0.52
C -1.018 0.782 1.438 -0.42
C -0.736 0.045 0.119 -0.56
C 0.182 -1.167 0.222 -0.82
S 0.433 -1.990 -1.428 -0.11
C 2.057 -1.625 -1.934 -0.87
H -1.461 2.569 0.356 0.36
H -2.304 2.388 1.798 0.32
H -0.540 4.144 1.947 0.30
H -0.142 0.580 2.080 0.34
H -1.924 0.438 1.931 0.32
H -0.294 0.785 -0.561 0.31
H -1.590 -0.355 -0.413 0.31
H -0.310 -1.940 0.796 0.32
H 1.170 -0.886 0.615 0.44
H 2.774 -2.438 -1.907 0.32
H 2.121 -1.214 -2.955 0.30
H 2.601 -0.846 -1.384 0.28


*C*
19
Properties=species:S:1:pos:R:3:mulliken_charge:R:1 method="wB97M-V/def2-TZVPD" homo_lumo_gap_ha=0.344 homo_energy_ev=-8.44 smiles=CSCCCCO lumo_ev=0.930 total_charge=0
C -1.102 -1.305 1.392 -0.62
O -0.319 -1.320 2.561 -0.51
C -1.557 0.097 0.995 -0.45
C -0.408 1.110 0.836 -0.83
C 0.767 0.610 0.019 -0.71
S 0.252 0.357 -1.715 -0.05
C 1.878 0.146 -2.454 -0.85
H -1.986 -1.938 1.474 0.35
H -0.493 -1.742 0.598 0.31
H -0.907 -1.169 3.324 0.32
H -2.152 0.006 0.094 0.34
H -2.205 0.509 1.782 0.34
H -0.079 1.382 1.826 0.34
H -0.743 2.043 0.383 0.36
H 1.181 -0.337 0.358 0.37
H 1.564 1.342 -0.005 0.46
H 2.515 0.998 -2.213 0.25
H 2.331 -0.789 -2.149 0.27
H 1.773 0.167 -3.538 0.32


*D*
19
Properties=species:S:1:pos:R:3:mulliken_charge:R:1 method="wB97M-V/def2-TZVPD" homo_lumo_gap_ha=0.356 homo_energy_ev=-9.03 lumo_ev=0.665 total_charge=0
C 2.821 -0.868 0.612 -1.19
C 1.674 0.009 0.267 0.53
C 2.143 1.149 -0.752 -0.88
C 0.215 -0.534 -0.136 -1.17
C -1.931 0.711 1.244 -0.77
H 3.726 -0.111 0.778 0.31
H 3.287 -1.399 -0.226 0.35
H 2.768 -1.388 1.592 0.33
H 1.251 0.515 1.061 0.22
H 1.100 1.509 -1.574 0.24
H 2.844 0.418 -1.545 0.23
H 2.659 2.140 -0.288 0.26
H 0.192 -1.011 -1.235 0.30
H -0.162 -1.422 0.504 0.52
H -1.581 1.950 1.334 0.26
H -3.089 0.957 1.221 0.32
H -1.588 -0.042 2.022 0.26
O -2.275 -1.080 -0.575 -0.62
S -1.421 0.233 -0.403 0.48


Energy above the most stable structure, in hartree: *A* 0.0165; *B* 0.0454; *C* 0.0000; *D* 0.1737


*A*
10
=====

This is where action meets intention, and where the true challenge of setting boundaries lie. It’s in the implementation and enforcing of one’s boundaries that many obstacles and challenges come to the forefront, highlighting areas to work on and constant improvements to be made. Working mothers, more than anyone else, are keenly aware of the beautiful pressure of juggling life and work, career and parenting, reports and laundry. This is where not just creating a routine, but crafting an adaptive, flexible approach, can pay immense dividends over time. For some, it may mean a different allocation of time and space. For others, it may entail hard conversations, difficult decisions, and renewed commitments. For most, it’s a hodgepodge of personal, professional, spiritual, and psychological elements, presenting new, exhilarating discoveries about oneself and one’s environment, highlighting new challenges, and overall creating new opportunities to grow and evolve. 

All in all, being a working mother is a beautiful journey of becoming, growing, and juggling. It’s also one whose very beauty and integrity lie in the in-between creases of life, work and everything in between. The work then, the challenging yet uplifting work, is in constantly ironing these creases, setting and re-setting the boundaries that keep us thriving, growing and evolving in the fullness of all we are.

**Next to the entry, the page also holds calculated molecules**
Molecular formula: CH5BO
Method: DFT, ωB97M-V/def2-TZVPD

Summary:
Energy relative to the best compared isomer or geometry (same formula, charge and spin)   293.9 kJ/mol
E_LUMO   0.52 eV
Largest force on an atom   6.83 eV Å⁻¹
E_tot   -3839.98939 eV
Frontier orbital gap   10.673 eV

The geometry in XYZ format:
```
8
CH5BO, DFT ωB97M-V/def2-TZVPD
B 0.374 0.157 0.405
C -0.850 -0.692 0.003
O 0.906 1.413 -0.966
H 1.134 0.238 1.184
H -1.547 -0.953 0.733
**The calculated molecules stop here**

The Corporate Sis.